Welcome to The Button Post by Pure Buttons! (Page 122 of 153)! A blog where we discuss all things related to custom pin-back buttons and other custom promotional products that Pure Buttons offers. Stick around for coupons to score cheap pinback buttons, new button product announcements and more!
_Someone pasted records of molecules at this point_
=====
Entry A
41
Properties=species:S:1:pos:R:3 method="wB97M-V/def2-TZVPD" charge=0 smiles="C[C@@H]1CCC[C@]2(C1)OC(=O)N(CCc1ccncc1)C2=O" homo_lumo_gap_ev=10.0 homo_ev=-9.32
O 1.3741 1.7306 -0.5814
H 0.6247 4.2509 0.8102
C 0.0361 1.4512 -0.2089
H -1.8263 3.6980 2.7151
H 0.1423 -2.9383 -0.2367
C -1.1842 3.2815 -1.2054
O 2.8350 0.5884 -1.9648
C 3.2158 -2.7277 1.3939
H -2.1306 1.4512 -0.8327
C 1.5464 -2.1999 3.4082
H 0.8073 2.0379 1.6860
H 2.7682 -1.8991 -1.4790
H 1.5582 -3.9291 -0.5142
C 3.6327 -2.6714 2.7918
C -0.0425 2.1655 1.1197
H -0.0523 -2.1170 2.1215
H -2.4516 3.5451 0.5066
H -0.9009 1.7632 1.6298
C 1.6597 -1.8223 -1.2837
N 2.7916 -2.3797 3.7857
C -0.3215 3.6497 1.0658
H 4.7505 -2.5247 2.7937
H -1.1816 5.1834 2.3894
H -0.7832 1.4103 -2.1226
H 0.7210 -2.2194 4.0355
O -0.8740 -0.7944 -0.0418
H 3.9961 -2.8808 0.6631
H -1.9644 3.6132 -1.8668
H -0.0369 4.0340 3.1843
H -1.6496 4.9921 0.0198
C 0.0760 -0.0234 -0.2766
C 1.2259 -2.8900 -0.2811
C 1.8404 0.6630 -1.2214
N 1.1240 -0.4688 -1.0180
C 1.0299 -2.2577 2.1448
C 1.8616 -2.7033 1.0880
C -1.1061 1.7565 -1.1416
H 1.2289 -1.8938 -2.2674
C -1.5441 3.9402 0.1475
C -0.8504 4.1479 2.3891
H -0.2501 3.6832 -1.6488

Entry B
41
Properties=species:S:1:pos:R:3 method="wB97M-V/def2-TZVPD" charge=0 homo_lumo_gap_ev=8.2 homo_ev=-8.29
N 4.7994 1.3269 -1.3056
H -1.9219 -0.3732 -3.2385
C -2.6883 -1.8378 -1.8549
C -2.3973 -0.3977 -2.2599
H -1.6087 -1.3939 0.4306
C 3.7841 1.0020 -0.6166
C 0.4136 2.2965 -0.2212
H -1.7276 0.0788 -1.5480
C 1.4592 0.3946 0.8520
H -4.1107 -0.0809 1.5582
H -2.7972 -2.0801 1.5286
H -3.2381 0.6178 0.1984
C -2.1495 0.6613 2.0472
C 4.9426 -1.0345 0.5091
C -2.6730 -1.4138 0.6721
C 1.5196 1.4773 -0.0368
H -1.7451 -2.3844 -1.7789
H 0.4822 3.1285 -0.9075
N 6.0372 -0.7322 -0.2024
H -1.6644 3.5330 -0.3142
H 4.6565 2.1419 -1.8928
C -0.7608 2.0379 0.4680
H -4.4084 -1.4586 -0.6143
H 6.8575 -1.3045 -0.0968
C 3.7636 -0.1304 0.2927
H -3.6540 -3.0288 -0.3727
O 2.6436 1.7584 -0.7343
C -3.1317 -0.0138 1.0792
H 6.0065 0.0695 -0.8261
H -3.3193 0.1778 -2.3142
O 4.8744 -1.9707 1.2847
O -1.8548 2.8185 0.3062
H -3.2804 -2.3131 -2.6410
H 2.6337 -1.2486 1.6632
H -2.5878 1.5991 2.3923
C -0.8473 0.9520 1.3631
C 0.2632 0.1578 1.5394
C -3.4463 -1.9686 -0.5321
H -1.9786 0.0135 2.9080
C 2.6328 -0.4027 0.9905
H 0.2219 -0.6749 2.2254

Name the least stable of them. entry A.

Entry A
20
Properties=species:S:1:pos:R:3 method="wB97M-V/def2-TZVPD" charge=+1 homo_lumo_gap_ev="8.2 / 8.1" homo_ev="-12.37 / -12.37"
N 1.1620 0.5908 -0.5433
H 2.5763 2.0883 -0.7981
C -0.6105 -0.7183 -0.8145
C 2.4190 1.2229 -0.1176
H -3.4837 0.5548 -0.8088
H 1.0171 -2.4491 0.5890
H -3.3543 -0.9430 -0.0021
H 2.4200 1.5882 0.9112
C -0.8816 1.2472 0.3547
H -1.3529 2.0059 0.9493
H -0.6126 -0.3295 -1.8515
H -3.0187 0.6693 0.8719
H 3.2373 0.5483 -0.2130
H -0.8547 -1.7954 -0.7028
C 1.3057 -1.4814 0.5975
H 1.1473 -1.0503 1.5659
C -2.8844 0.0300 -0.0139
N -1.4515 0.2456 -0.1492
N 0.8020 -0.5837 -0.3632
H 2.4181 -1.4405 0.5388

Entry B
20
=====
“I just received my custom buttons that I ordered in the mail today and they are wonderful! I ordered two different groups to use as wedding party favors and I just wanted to say that I am very pleased with the quality of the buttons and especially the quality of the customer service that I received from Joe H. when I was having a bit of trouble! Thank you so much for everything!”
– Jocelyn
Last Modified: June 30th, 2010
We’ve been expanding here at PureButtons! Our pre-press room is now double the size and we keep growing. Stay tuned for more pictures of the shop updates. (full photos will be up soon).
Whether you need 50 custom buttons or 500,000 custom buttons we can handle it!
Last Modified: March 11th, 2010
Over the course of the past month all of us at PureButtons have been busy!!! Finishing our year end returns, expanding our production facility, launching a custom stickers company (StandOut Stickers) and just doing what we do best… “pumping” out beautiful custom buttons!! We’ve even been on National Television!!
Over the next few weeks you’ll seeing some great new blog posts. Including the much anticipated “photo gallery” of our new production room and much much more!
I do apologize for the lack of updates about our custom stickers and custom buttons. We haven’t gone anywhere we’ve just been busy.
Also, thanks everyone for a great ’09!!
Last Modified: January 25th, 2010
Another great email testimonial from one of our recent customers! Read below.
“Hey Jeff,
I wanted to thank you and your team for the custom buttons. I received them in the mail recently, and I absolutely love the quality! Since they were special order, I was absolutely pleased with quick responses to my many questions and concerns. I definitely am excited to order my next batch with you guys again, and hopefully also have you produce custom stickers for me too.
Thank you so much for everything!”
April W.
Last Modified: December 21st, 2009
“What a nice holiday card you sent out! You are such “Feel Good” people! Everybody LOVES the buttons you made for us. Happy Holidays to you all!”
Wishing you a very prosperous 2010
Eliot Camaren
Ready, Set, Go…
Thanks Eliot, for the kind words!! Glad you enjoyed the card! We look forward to working with you in ’10.
– Jeff
# These calculated molecules were left in the article by mistake
[1]
# C27H54O27

9 unconnected molecules or ions with the total composition C27H54O27 (ωB97M-V with the def2-TZVPD basis set, OMol25).

Values from the calculation:
- SMILES string: COC(=O)OC.COC(=O)OC.COC(=O)OC.COC(=O)OC.COC(=O)OC.COC(=O)OC.COC(=O)OC.COC(=O)OC.COC(=O)OC
- Kohn-Sham gap: 11.1953 eV
- HOMO: -10.71 eV
- LUMO: 0.49 eV
- Energy: -84155.6477 eV
- ΔE to the lowest compared entry with this formula, charge and spin: 1.8000 eV

Structure (XYZ):
```
108
Properties=species:S:1:pos:R:3:lowdin_charge:R:1
C -5.88 -5.24 -26.07 0.006
O -6.67 -6.42 -26.20 -0.040
C -7.90 -6.56 -25.74 -0.632
O -8.48 -5.68 -25.15 0.135
O -8.39 -7.74 -26.03 0.030
C -7.73 -8.64 -26.93 -0.014
H -5.68 -5.13 -25.00 0.111
H -6.39 -4.38 -26.49 0.087
H -4.94 -5.50 -26.55 0.080
H -6.68 -8.88 -26.73 0.096
H -7.66 -8.13 -27.89 0.083
H -8.35 -9.53 -26.85 0.096
C -9.24 -13.09 -27.05 -0.037
O -8.55 -13.81 -28.07 -0.009
C -9.16 -14.89 -28.57 -0.625
O -10.30 -15.17 -28.36 0.134
O -8.29 -15.48 -29.38 0.023
C -8.86 -16.59 -30.07 -0.051
H -10.27 -12.95 -27.40 0.099
H -8.85 -12.09 -26.90 0.066
H -9.18 -13.67 -26.14 0.105
H -8.20 -16.90 -30.87 0.093
H -9.83 -16.36 -30.52 0.096
H -9.14 -17.42 -29.42 0.098
C -8.46 -3.16 -29.90 -0.013
O -7.68 -2.48 -28.90 0.003
C -6.37 -2.57 -29.00 -0.638
O -5.78 -3.04 -29.94 0.115
O -5.84 -2.11 -27.88 -0.004
C -4.43 -1.97 -27.76 -0.020
H -9.51 -3.15 -29.66 0.095
H -8.15 -4.18 -30.14 0.086
H -8.29 -2.52 -30.76 0.102
H -4.06 -0.95 -27.84 0.104
H -3.94 -2.50 -28.57 0.084
H -4.15 -2.44 -26.82 0.087
C -2.24 -7.41 -25.15 -0.018
O -1.02 -6.82 -24.72 0.019
C -0.06 -6.71 -25.61 -0.619
O -0.03 -7.13 -26.74 0.124
O 0.89 -5.95 -25.05 -0.015
C 2.07 -5.69 -25.80 -0.039
H -2.22 -8.50 -25.05 0.102
H -2.53 -7.07 -26.15 0.075
H -3.04 -7.04 -24.51 0.096
H 1.96 -4.78 -26.39 0.093
H 2.33 -6.51 -26.45 0.095
H 2.86 -5.48 -25.07 0.094
C -0.23 -2.66 -25.22 -0.051
O -0.46 -2.99 -26.58 0.017
C -1.53 -3.74 -26.80 -0.610
O -2.40 -4.00 -26.00 0.120
O -1.52 -4.11 -28.09 0.004
C -2.46 -5.11 -28.47 -0.032
H -1.06 -2.12 -24.76 0.098
H 0.56 -1.91 -25.17 0.097
H 0.00 -3.51 -24.59 0.094
H -2.23 -6.12 -28.16 0.078
H -2.43 -4.99 -29.56 0.110
H -3.48 -4.78 -28.26 0.070
C -6.01 -6.24 -29.44 -0.043
O -4.95 -7.03 -28.92 0.002
C -4.36 -7.91 -29.70 -0.623
O -4.66 -8.20 -30.83 0.143
O -3.31 -8.42 -29.06 -0.008
C -2.56 -9.43 -29.71 -0.047
H -6.44 -5.59 -28.69 0.076
H -6.83 -6.85 -29.83 0.098
H -5.69 -5.61 -30.26 0.099
H -3.19 -10.25 -30.06 0.077
H -1.93 -9.85 -28.93 0.101
H -1.94 -9.18 -30.56 0.101
C -5.91 1.79 -23.57 -0.030
O -6.94 0.80 -23.58 -0.001
C -6.76 -0.36 -24.18 -0.624
O -5.71 -0.87 -24.44 0.131
O -7.97 -0.84 -24.43 0.021
C -8.11 -2.13 -24.98 -0.045
H -5.99 2.27 -22.60 0.093
H -5.96 2.53 -24.37 0.092
H -4.98 1.24 -23.74 0.088
H -7.52 -2.83 -24.38 0.095
H -7.75 -2.21 -26.01 0.078
H -9.12 -2.53 -24.97 0.098
C -8.53 -10.47 -30.28 -0.023
O -7.28 -10.74 -30.86 -0.004
C -7.11 -11.44 -31.97 -0.590
O -7.97 -11.91 -32.67 0.142
O -5.78 -11.61 -32.02 -0.015
C -5.12 -12.11 -33.15 -0.064
Last Modified: December 21st, 2009